Excerpt:
'''
i | A plane-wave DFT calculation with PBE was carried out for crystalline TlRh3N at its relaxed geometry.

abc: 4.165 4.165 4.165
angles: 90.00 90.00 90.00
Element x y z (fractional)
Tl  0.000  0.000  0.000
Rh  0.000  0.500  0.500
Rh  0.500  0.000  0.500
Rh  0.500  0.500  0.000
N  0.500  0.500  0.500


ii | A plane-wave DFT calculation with PBE was carried out for crystalline TlRh3N at its relaxed geometry.

abc: 5.083 5.083 5.083
angles: 90.00 90.00 90.00
Element x y z (fractional)
Tl  0.000  0.000  0.000
Rh  0.000  0.000  0.500
Rh  0.000  0.500  0.000
Rh  0.500  0.000  0.000
N  0.500  0.500  0.500


Most stable structure, least stable structure: i, ii.


(1)
The following is a DFT calculation (GGA-PBE) of Dy2Ga3Ni after structural relaxation.

Geometry as POSCAR:
```
Dy2Ga3Ni
1.0
-4.211 -0.231 -0.678
1.631 -1.245 3.746
-0.817 7.012 2.687
Dy Ga Ni
2 3 1
direct
0.667 0.333 0.772
0.667 0.333 0.236
0.333 0.667 0.012
0.333 0.667 0.460
0.000 0.000 0.546
0.000 0.000 0.974
```

calculated formation energy: -3.7 eV per formula unit
crystal system: trigonal
V: 19.9 Å³/atom

(2)
The following is a DFT calculation (GGA-PBE) of SrMn2Os2 after structural relaxation.

Geometry as POSCAR:
```
SrMn2Os2
1.0
-1.852 2.259 7.190
3.434 -6.338 2.876
2.390 1.378 0.183
Sr Mn Os
2 4 4
direct
0.000 0.000 0.000
0.500 0.500 0.000
0.157 0.657 0.500
0.657 0.843 0.500
0.843 0.343 0.500
0.343 0.157 0.500
0.370 0.870 0.000
0.870 0.630 0.000
0.630 0.130 0.000
0.130 0.370 0.000
```

energy above the most stable polymorph in this dataset: 0.732 eV/f.u.
calculated formation energy: 2.4 eV per formula unit
crystal system: tetragonal
V: 16.7 Å³/atom

(3)
The following is a DFT calculation (GGA-PBE) of Ta2AgC2 after structural relaxation.

Geometry as POSCAR:
```
Ta2AgC2
1.0
6.398 0.000 0.000
0.000 6.398 0.000
0.000 0.000 2.965
C Ag Ta
4 2 4
direct
0.357 0.857 0.000
0.857 0.643 0.000
0.643 0.143 0.000
0.143 0.357 0.000
0.000 0.000 0.000
0.500 0.500 0.000
0.150 0.650 0.500
0.650 0.850 0.500
0.850 0.350 0.500
0.350 0.150 0.500
```

energy above the most stable polymorph in this dataset: 0.606 eV/f.u.
calculated formation energy: 1.8 eV per formula unit
crystal system: tetragonal
V: 12.1 Å³/atom


The following is a DFT calculation (PBE) of ZrMn4Rh after structural relaxation.

Cell and atoms, written as CIF:
```
data_ZrMn4Rh
_chemical_formula_sum 'Zr4 Mn16 Rh4'
_symmetry_space_group_name_H-M 'F -4 3 m'
_symmetry_Int_Tables_number 216
_symmetry_space_group_name_Hall 'F -4 2 3'
_cell_length_a 6.7977
_cell_length_b 6.7977
_cell_length_c 6.7977
_cell_angle_alpha 90.00
_cell_angle_beta 90.00
_cell_angle_gamma 90.00
loop_
_atom_site_label
_atom_site_fract_x
_atom_site_fract_y
_atom_site_fract_z
Zr1 0.0000 0.0000 0.0000
Mn1 0.1248 0.1248 0.6248
Rh1 0.2500 0.2500 0.2500
```

Properties
Calculated total energy, Ry/atom: -0.6501
Formation enthalpy at 0 K, eV/atom: -0.08
'''

Job:
Next, count the lines further above that contain the word "Rh4" and give the number alone.

Written answer:
1